Data
~~~
This record from the Open Molecules 2025 dataset describes a structure of composition C3H6I2NO. The level of theory is ωB97M-V with the def2-TZVPD basis set.

Element x y z (Å)
C (2.973, -1.338, 0.059)
C (-0.727, 0.602, 0.391)
C (1.652, 0.308, -0.358)
N (0.524, -0.053, 0.569)
O (2.497, -2.395, 0.206)
I (4.920, -0.764, -0.021)
I (2.675, 2.015, -0.020)
H (-0.639, 1.630, 0.156)
H (-1.529, 0.179, -0.331)
H (-1.238, 0.714, 1.373)
H (1.561, 0.048, -1.450)
H (0.269, -0.993, 0.213)
H (0.727, -0.052, 1.551)

Computed properties:
Energy above the lowest of the compared OMol25 structures with the same formula, charge and spin   35.80 kcal per mole
Gap between HOMO and LUMO   8.6 eV
E   -842.93111 a.u.
HOMO   -12.82 eV
Charge   +1

These are the Löwdin partial charges, in e, on atoms 1 to 8: -0.857, -0.068, -0.763, -0.088, 0.023, 0.990, 0.971, 0.074
~~~

What to do
Copy the calculation results further above from the first line to the one with "-1.450)" without additions.

Solution
This record from the Open Molecules 2025 dataset describes a structure of composition C3H6I2NO. The level of theory is ωB97M-V with the def2-TZVPD basis set.

Element x y z (Å)
C (2.973, -1.338, 0.059)
C (-0.727, 0.602, 0.391)
C (1.652, 0.308, -0.358)
N (0.524, -0.053, 0.569)
O (2.497, -2.395, 0.206)
I (4.920, -0.764, -0.021)
I (2.675, 2.015, -0.020)
H (-0.639, 1.630, 0.156)
H (-1.529, 0.179, -0.331)
H (-1.238, 0.714, 1.373)
H (1.561, 0.048, -1.450)